A new programme has been launched in Cumbria to inspire and support the next generation of young entrepreneurs.
As our region begins to count the cost of the coronavirus pandemic, with thousands of jobs already lost and yet more predicted to come, young people are being given a chance to create their own livelihoods – by becoming their own business owner.
TEGvirtual CiC is creating The Young Entrepreneurs Group concept, to be piloted in Cumbria, is the brainchild of Keith McMean, an entrepreneur whose vision for a robust local economy has always focused on unity in local communities, with business leaders using their expertise to set young talent on the road to employment. He is also hoping that other well-known business leaders and groups will join him.
Keith is an entrepreneur who is passionate about making a difference and is giving his time freely to seeing this project succeeds.
Keith said: “Parts of Cumbria, West Cumbria in particular, have a disproportionate number of disadvantaged young people who have always faced barriers to employment. The jobs situation is bad and sadly will get worse.
“The talent, skills and new ideas are out there, all it needs is to be noticed and for those who want to carve a career for themselves by running their own business to have the right people behind them to turn a dream into reality.
(The page is interrupted by records of molecules)
<<<
An isolated ion of composition C10H14N3 and charge +1 in a non-equilibrium geometry. Source: OMol25; level of theory: ωB97M-V/def2-TZVPD.

Atoms and positions in Å:
C: 1.919 2.197 -0.022
C: 2.430 1.115 -0.619
C: 0.559 1.691 0.540
C: 1.613 -0.067 -0.543
C: 0.445 -2.262 0.997
C: 2.007 -1.496 -0.599
C: -1.718 0.169 1.217
C: -2.634 0.507 0.023
C: -1.261 -1.050 -0.894
C: -0.600 -0.472 0.426
N: 1.412 -2.365 0.354
N: 0.485 0.327 0.078
N: -1.963 0.150 -1.234
H: 2.309 3.207 -0.006
H: 3.407 1.179 -1.077
H: 0.584 1.811 1.616
H: -0.011 -2.986 1.630
H: 1.813 -2.126 -1.536
H: 3.133 -1.500 -0.609
H: -1.393 1.125 1.738
H: -2.197 -0.450 1.934
H: -3.550 0.007 0.137
H: -2.894 1.607 -0.016
H: -0.508 -1.390 -1.561
H: -1.870 -1.950 -0.678
H: -1.276 0.862 -1.383
H: -0.241 2.160 0.087

## Properties
Relative energy (zero: lowest compared OMol25 entry of this formula, charge and spin): 4.801 eV
Total charge: +1
Frontier orbital gap (spin up / spin down): 7.339 / 7.338 eV

=====

The molecule CH4N6O in a non-equilibrium geometry. Source: OMol25; level of theory: ωB97M-V/def2-TZVPD.

Atoms and positions in Å:
N: -1.227 -0.109 1.824
N: -1.129 -0.383 0.402
C: -0.124 0.340 0.063
N: 0.842 1.196 0.598
N: 1.563 1.560 -0.342
O: 1.407 1.148 -1.466
N: 0.318 0.235 -1.342
N: 0.590 -1.093 -1.406
H: -0.479 0.569 2.161
H: -1.872 -0.766 2.551
H: 0.207 -1.144 -2.395
H: -0.096 -1.553 -0.648

## Properties
Relative energy (zero: lowest compared OMol25 entry of this formula, charge and spin): 5.405 eV
Structure (SMILES): N/N=c1\nnon1N
Frontier orbital gap: 8.345 eV

=====

The molecule C4H5N3S in a non-equilibrium geometry. Source: OMol25; level of theory: ωB97M-V/def2-TZVPD.

Atoms and positions in Å:
C: 2.190 -1.158 -0.262
N: 1.773 -0.001 0.076
N: 0.474 0.210 0.376
C: -0.084 1.422 0.085
C: -1.414 1.322 -0.154
C: -1.756 -0.053 -0.046
S: -3.303 -0.690 -0.005
N: -0.561 -0.722 0.205
H: 1.497 -2.023 -0.374
H: 3.258 -1.276 -0.363
H: 0.612 2.251 0.007
H: -2.093 2.151 -0.465
H: -0.592 -1.432 0.919

## Properties
Relative energy (zero: lowest compared OMol25 entry of this formula, charge and spin): 2.845 eV
Structure (SMILES): C=Nn1ccc(=S)[nH]1
Frontier orbital gap: 7.950 eV

=====

C10H11F9N2OPtTe as an isolated structure. Source: OMol25; level of theory: ωB97M-V/def2-TZVPD.

Atoms and positions in Å:
Pt: 0.769 0.393 0.522
C: -0.032 3.182 0.576
N: 0.295 2.108 -0.406
C: -0.845 1.964 -1.357
C: 1.561 2.422 -1.113
C: 2.030 1.214 -1.900
N: 1.670 -0.025 -1.156
C: 2.043 -1.226 -1.572
C: 1.549 -2.402 -0.874
F: 0.691 -2.252 0.099
C: 1.934 -3.665 -1.238
F: 1.460 -4.701 -0.593
C: 2.819 -3.844 -2.296
C: 3.314 -2.756 -3.018
F: 4.136 -2.955 -4.016
C: 2.939 -1.479 -2.693
F: 3.405 -0.484 -3.398
H: -0.207 4.106 0.022
H: 0.802 3.304 1.262
H: -0.928 2.899 1.121
H: -1.004 2.921 -1.856
H: -1.734 1.695 -0.794
H: -0.632 1.198 -2.098
H: 2.298 2.689 -0.355
H: 1.421 3.282 -1.772
H: 3.111 1.260 -2.023
H: 1.592 1.143 -2.898
H: 3.121 -4.850 -2.576
F: 0.694 -1.002 4.312
Te: 1.569 0.339 3.436
F: 2.649 1.535 2.481
>>>
“It’s a case of capturing the vision then, with guidance, putting it into place.”
"To kick-start the pilot project, young people from Cumbria who have ideas for their own business, but need help along the way, are being called upon to record a brief video about themselves and their plans ahead of discussions with a panel of local entrepreneurs who have “been there and done it”.
All they need to set them off is to be aged between 16 and 25, have a passion to succeed, believe in their ideas, be open to feedback, be prepared to learn about business and to work tirelessly on their ideas.
In return, they will receive practical help, advice and guidance in essential areas such as finance, tax and VAT, marketing, new technology, company law, recruitment and they will be matched with experienced entrepreneurs who may ultimately look to invest in their businesses in the future. The information will be delivered through an online entrepreneurs’ portal supported by TEGvirtual CiC, while we have restrictions on face-to-face meetings and training. This is changing with the introduction of the TEG Secure Bubble.
Keith continued: “I constantly hear about young people who have a passion for music, dance, technology, health and fitness, food, fashion, hair and beauty and believe they can make a living out of things they simply love to do.”
"I was pretty much like them when I started my business journey – I had the ideas but hadn’t a clue about running a business or putting something like a business plan or BMC together. I would have benefited immensely from this type of support and this is where we can succeed with our disadvantaged young people to help make them self-sufficient so that, once they become established, they can begin to employ others and start to turn the wheels of the local economy.”
The current UK economic crisis is reported to be pushing an additional 600,000 young people into unemployment in the current year, causing long-term damage to their pay and future job prospects, so starting their own business is a perfect way to boost the economy and help young people create an income.
There is some alarming reading contained in the Youth Unemployment Statistics briefing paper released on the 26th of January 2021:
Comparing the latest quarter, September-November 2020, with the pre-pandemic quarter of January-March 2020:
• Unemployment for young people has increased by 68,000, a 13% increase. The increase for men was 50,000, a 17% increase, while the increase for women was 18,000, an 8% increase.
• The unemployment rate has increased to 14.2% from 12.1%.
• The number of young people in employment has fallen by 231,000, a 6% fall. The fall for men has been larger, with employment levels falling by 8% for men and by 5% for women.
• 137,000 more young people have become economically inactive.
Keith is only too aware of the impact of these statistics on the local economy and said:
“By learning how to create their own business, they’ll be taking small steps to turn their passions and interests into money-making concerns and create their own prosperity. By taking control of their own destinies, their hard work and ingenuity will help to keep alive their own Cumbrian communities which have been so severely affected over the years by recessions and unemployment.”
TEGvirtual is also looking for experienced entrepreneurs willing to have a practical input and happy to give their time into supporting young people with their new ventures.
Their role, as experienced entrepreneurs, will be to professionally connect with the aspiring business owners and share their knowledge and business journeys with them.
Keith concluded: “Cumbria has a strong network of professionals operating across many different fields whose knowledge is going to be vital in giving these young people the confidence to start out on their own. I’m sure many will identify with them their own early start-up days and will be able to relate to the ups, downs, passions and problems of the road leading to success.”
Applicants should send the videos of themselves and their business ideas by email to office@teguk.co.uk and experienced entrepreneurs are also requested to register their interest in the project by sending an email to office@teguk.co.uk in the first instance.